**Source**
........
Diffraction record for Rb2CoSbO4. The powder diffractogram is computed, not measured: it uses the GGA+U geometry in Alexandria and λ = 1.5418 Å (Cu Kα).

The 10 most intense peaks (5 to 70 degrees two-theta), sorted by position:
| index | 2theta | d_spacing | I (rel.) |
| --- | --- | --- | --- |
| 2 0 0 | 28.16 | 3.169 | 37.6 |
| 0 2 1 | 29.82 | 2.996 | 100.0 |
| 2 2 -1 | 31.31 | 2.857 | 75.5 |
| 0 0 2 | 39.14 | 2.301 | 19.3 |
| 2 2 1 | 49.91 | 1.827 | 18.1 |
| 2 2 -3 | 51.98 | 1.759 | 15.6 |
| 4 2 -1 | 52.81 | 1.733 | 15.4 |
| 2 4 0 | 54.81 | 1.675 | 27.3 |
| 2 4 -2 | 55.79 | 1.648 | 14.4 |
| 0 2 3 | 65.28 | 1.429 | 16.0 |

Structural model:
```
Rb2CoSbO4
1.0
8.297 0.000 0.000
0.000 7.891 0.000
-3.890 0.000 4.603
Rb Co Sb O
4 2 2 8
direct
0.000 0.000 0.000 Rb
0.000 0.249 0.500 Rb
0.500 0.500 0.000 Rb
0.500 0.749 0.500 Rb
0.000 0.774 0.500 Co
0.500 0.274 0.500 Co
0.000 0.505 0.000 Sb
0.500 0.005 0.000 Sb
0.118 0.660 0.877 O
0.231 0.922 0.603 O
0.269 0.422 0.397 O
0.382 0.160 0.123 O
0.618 0.160 0.877 O
0.731 0.422 0.603 O
0.769 0.922 0.397 O
0.882 0.660 0.123 O
```

~~~~~

Record 1
This entry pairs a crystal structure of RbCuNiTeS2 with its computed X-ray powder pattern. Radiation: CuKα. Structure: a crystal structure in OQMD, relaxed with GGA-PBE.

abc: 8.208 8.208 9.949
angles: 90.00 90.00 155.24
Fractional coordinates of all 12 atoms:
1 Rb 0.233 0.767 0.750
2 Rb 0.767 0.233 0.250
3 Cu 0.449 0.551 0.250
4 Cu 0.551 0.449 0.750
5 Ni 0.000 0.000 0.000
6 Ni 0.000 0.000 0.500
7 Te 0.068 0.932 0.250
8 Te 0.932 0.068 0.750
9 S 0.405 0.595 0.037
10 S 0.405 0.595 0.463
11 S 0.595 0.405 0.537
12 S 0.595 0.405 0.963

Main lines, in order of falling intensity (15° ≤ 2θ ≤ 90°):
31.7°, rel. 100
36.1°, rel. 35
41.0°, rel. 31
17.8°, rel. 31
55.8°, rel. 26
51.0°, rel. 18
38.2°, rel. 18
52.0°, rel. 13
42.2°, rel. 12
37.9°, rel. 12

***

Record 2
This entry pairs a crystal structure of CuNi2S3 with its computed X-ray powder pattern. Radiation: CuKα. Structure: a crystal structure in OQMD, relaxed with GGA-PBE.

abc: 6.420 3.394 9.310
angles: 90.00 99.31 90.00
Fractional coordinates of all 12 atoms:
1 Cu 0.105 0.250 0.081
2 Cu 0.895 0.750 0.919
3 Ni 0.285 0.750 0.295
4 Ni 0.432 0.750 0.588
5 Ni 0.568 0.250 0.412
6 Ni 0.715 0.250 0.705
7 S 0.058 0.250 0.820
8 S 0.241 0.250 0.468
9 S 0.449 0.250 0.181
10 S 0.551 0.750 0.819
11 S 0.759 0.750 0.532
12 S 0.942 0.750 0.180

Main lines, in order of falling intensity (15° ≤ 2θ ≤ 90°):
15.7°, rel. 100
39.6°, rel. 24
38.9°, rel. 19
50.5°, rel. 17
30.7°, rel. 13
54.0°, rel. 12
37.1°, rel. 12
48.1°, rel. 11
44.3°, rel. 10
53.4°, rel. 7

***

Record 3
This entry pairs a crystal structure of CuNiSbS3 with its computed X-ray powder pattern. Radiation: CuKα. Structure: a crystal structure in OQMD, relaxed with GGA-PBE.

abc: 4.891 7.492 12.356
angles: 90.00 90.00 90.00
Fractional coordinates of all 24 atoms:
1 Cu 0.019 0.115 0.439
2 Cu 0.481 0.885 0.939
3 Cu 0.519 0.385 0.561
4 Cu 0.981 0.615 0.061
5 Ni 0.008 0.636 0.748
6 Ni 0.492 0.364 0.248
7 Ni 0.508 0.864 0.252
8 Ni 0.992 0.136 0.752
9 Sb 0.058 0.122 0.135
10 Sb 0.442 0.878 0.635
11 Sb 0.558 0.378 0.865
12 Sb 0.942 0.622 0.365
13 S 0.219 0.133 0.910
14 S 0.219 0.383 0.704
15 S 0.226 0.635 0.906
16 S 0.274 0.365 0.406
17 S 0.281 0.617 0.204
18 S 0.281 0.867 0.410
19 S 0.719 0.117 0.296
20 S 0.719 0.367 0.090
21 S 0.726 0.865 0.094
22 S 0.774 0.135 0.594
23 S 0.781 0.633 0.590
24 S 0.781 0.883 0.796

Main lines, in order of falling intensity (15° ≤ 2θ ≤ 90°):
30.0°, rel. 100
28.3°, rel. 63
49.7°, rel. 48
30.8°, rel. 29
48.6°, rel. 24
30.9°, rel. 22
57.2°, rel. 21
32.3°, rel. 15
24.7°, rel. 13
26.1°, rel. 13

~~~~~

Simulated X-ray diffraction stick pattern
Compound: ThSi2
Radiation: Cu Kα (weighted mean of Kα1 and Kα2)
Structure: a cell relaxed with PBE
Intensities are scaled so that the largest is 1000.

Crystal structure
Cell: 4.125 4.125 4.168 Å, 90.00 90.00 120.00°
Sites, in units of the cell vectors:
Th1 0.000 0.000 0.000
Si1 0.333 0.667 0.500
........

**To do**
Please restate the lines further up from the one with "38.9°, rel." to the one with "0.719 0.367" word for word.

**Done**
38.9°, rel. 19
50.5°, rel. 17
30.7°, rel. 13
54.0°, rel. 12
37.1°, rel. 12
48.1°, rel. 11
44.3°, rel. 10
53.4°, rel. 7

***

Record 3
This entry pairs a crystal structure of CuNiSbS3 with its computed X-ray powder pattern. Radiation: CuKα. Structure: a crystal structure in OQMD, relaxed with GGA-PBE.

abc: 4.891 7.492 12.356
angles: 90.00 90.00 90.00
Fractional coordinates of all 24 atoms:
1 Cu 0.019 0.115 0.439
2 Cu 0.481 0.885 0.939
3 Cu 0.519 0.385 0.561
4 Cu 0.981 0.615 0.061
5 Ni 0.008 0.636 0.748
6 Ni 0.492 0.364 0.248
7 Ni 0.508 0.864 0.252
8 Ni 0.992 0.136 0.752
9 Sb 0.058 0.122 0.135
10 Sb 0.442 0.878 0.635
11 Sb 0.558 0.378 0.865
12 Sb 0.942 0.622 0.365
13 S 0.219 0.133 0.910
14 S 0.219 0.383 0.704
15 S 0.226 0.635 0.906
16 S 0.274 0.365 0.406
17 S 0.281 0.617 0.204
18 S 0.281 0.867 0.410
19 S 0.719 0.117 0.296
20 S 0.719 0.367 0.090